

We should adopt an effective economy measure.



此句不能?作:"我?????采取一?有效的???胧?" 如要表?此?, ????:

We should adopt an effective economic measure.

在?在英?里, 用名?代替形容?或分?作定?, 以修?其后的名?, ???象是很普遍的.

例如用a luxury liner替代a luxurious liner(豪?的?船)

以a prestige scholar替代a prestigious scholar(有名望的?W者)

用race discrimination替代racial discrimination(?族歧?)

以gold watch替代golden watch(金表)

用lead ship替代leading ship(??)

以launch pad替代launching pad(?射台)

??以名?替代形容?,分?或?用?~的?象?然已日?普遍, 但?Q不能?意?E用.

因?樵谀承?龊舷? 用名?作定?和用?其相??男稳菰~作定?, 在涵?上是大不相同的,

economy measure和economic measure就是一例, 前者是"??措施"; 后者是"???胧?quot;.

下面例句中的riot picket和riotous picket在涵?上也是大相?酵? ?看:

To put down the strike, the bosses have sent out a troop of riot pickets.

?榱随??毫T工, 老板??派出一?防暴?察.

To put down the strike, the bosses have sent out a troop of riotous pickets.

?睦?淇梢?, riot pickets和riotous pickets的涵?恰好相反. ?注意, riot的原?是"暴?y",

"???quot;, 但riot pickets ?s不?作"暴?蛹m察", 而是??? "防暴?察". 在英?里, ?似的例?不少, 例如:

gas mask 防毒面具(不?作"毒?饷婢?quot;)

flu mask ?生器皿(不?作"流行性感冒口罩")

fire engine 救火?(不?作"?火?C器")

fire office 火?谋kU公司(不?作"失火?公室")

fire wall 防火??(不?作"火??")

skid chain 防滑?(不?作"滑?")

lightning rod 避雷?(不?作"???")

personnel mine 防步兵地雷(不?作"人雷")

mosquito bomb ?缥??(不?作"影子炸??")

?便在此指出, 在英?中?有另一?奇怪的?象, 即某些??同?r兼有恰好相反的???意?. 例如:

fireman既可表示"消防??T"(fire fighter)的意思, 也可表示"伙夫"或"??鸸と?quot;

(a man who looks after the fire in a furnace or steam-engine). biweekly既可作"?芍芤淮?quot;解,

亦可作"一周?纱?quot;解; occasionally既可表示"偶??"之意, 亦可表示"?r而"(now and then)之意.

??r候, 我??只有根??舷挛牡那?r去判定其?下面?一??例子, 以?明英?中的"同?反?"?象:

It's terrific!

?是美??顺Uf的口??. 如用上海方言表?, 此?有"???娜?quot;和"瞎嗲"???截然相反的??.

但在下列的?υ?中, 我??可以根??唧w情景, 一望而知它是近乎上海?的"嗲"或北京?的"??"和?V?|?的"?".

"I'll see if my good suit fits me," said Ralph.

"Oh, I expect it will," said Martha. "I'll be terrific!"

-----Writer's Review


?榱?y??者是否已掌握????字的?^?e和用法, ?在??下列一段文章后,


In the past week, the US ( ) news could hardly have been better:

brisk retail sales, a big jump in factory orders and even a significant

decline in the unemployment rate. With all these signs of an ( ) rebound,

some might wonder why President Bill Clinton is gong ahead with a program to

give the backsliding economy an extra shove -- a move that could add US $

31 billion or so to a budgetdeficit already headed into the stratosphere.
  • luxurious [lʌg´zjuəriəs] 移动到这儿单词发声 a.奢侈的;豪华的 四级词汇
  • prestige [pres´ti:ʒ] 移动到这儿单词发声 n.威望,威信;声望 四级词汇
  • personnel [,pə:sə´nel] 移动到这儿单词发声 n人事(部门);全体人员 六级词汇
  • retail [´ri:teil, ri´teil] 移动到这儿单词发声 n.&a.&v.零售(商品的) 四级词汇
  • deficit [´defisit] 移动到这儿单词发声 n.缺乏,赤字,亏空 六级词汇

-- Attached: records of molecules --
/*
Formula: C4H6N2
Source: the OMol25 dataset
Level of theory: ωB97M-V/def2-TZVPD

Energy above the lowest of the compared OMol25 structures with the same formula, charge and spin in kcal per mole: 126.8
Gap between HOMO and LUMO (alpha / beta) in Eh: 0.349 / 0.080
LUMO level (alpha / beta) in eV: -5.54 / -12.86
Highest occupied orbital energy (alpha / beta) in eV: -15.0 / -15.0

ORCA input file:
```
! wB97M-V def2-TZVPD RIJCOSX def2/J DEFGRID3
* xyz 1 2
C 1.156 1.053 -1.050
C 1.783 2.393 -0.836
N 2.284 3.339 -0.686
H 1.206 0.526 -0.097
H 1.721 0.489 -1.792
H 0.104 1.232 -1.269
C -1.481 -1.148 1.307
C -1.122 -2.091 0.230
N -0.792 -2.838 -0.563
H -1.454 -0.091 1.040
H -0.899 -1.417 2.188
H -2.506 -1.446 1.527
*
```

~~~~~

(1)
Computed, not measured: a molecular structure, C28H44BrCaN3P2 in a non-equilibrium geometry, with wB97M-V/def2-TZVPD.

```
79
Properties=species:S:1:pos:R:3:forces:R:3
N -5.1206 4.7386 -3.1413 -0.49 0.02 -0.11
C -4.3809 5.2973 -2.1859 0.58 -0.18 -0.18
C -3.0192 5.0175 -2.0367 -0.31 -0.40 -0.21
C -2.4252 4.0564 -2.8879 -0.76 0.21 0.65
C -3.2240 3.5093 -3.9090 -0.15 -0.07 0.07
C -4.5693 3.8846 -4.0047 0.78 0.13 0.56
C -1.0114 3.7093 -2.7533 -0.17 0.14 -1.21
Ca 0.6516 3.0459 -1.2599 1.20 0.04 1.64
P 2.5673 1.2105 -1.1448 1.25 -1.25 0.48
C -0.4086 2.5473 -3.2775 -1.99 -0.53 -1.59
C -0.8829 1.1849 -3.1290 0.72 0.98 -0.04
C -0.3472 0.1560 -3.9543 0.29 -0.70 0.08
C -0.4875 -1.1732 -3.6442 -0.20 0.14 -0.40
C -0.9780 -1.5722 -2.3367 -1.49 0.66 -1.00
C -1.7473 -0.5393 -1.6545 0.19 -0.13 -0.15
C -1.7075 0.7743 -2.0537 -0.26 -0.03 0.71
Br 1.0408 -1.9390 -1.3677 1.37 0.51 0.57
H -0.3792 4.5981 -2.5291 -0.21 -0.06 -0.78
H 0.4000 2.6517 -4.0114 0.50 0.04 0.62
H -2.4490 5.5235 -1.2524 -0.09 -0.12 -0.28
H -2.8089 2.8067 -4.6353 -0.07 0.21 0.30
H -4.8829 5.9928 -1.5054 0.13 -0.21 -0.31
H -5.2041 3.4700 -4.7911 0.12 0.21 0.26
H 0.2360 0.4607 -4.8239 -0.28 -0.23 0.00
H -2.2561 1.5457 -1.4854 0.25 -0.59 -0.29
H -0.1271 -1.9458 -4.3319 0.05 0.40 0.31
H -2.3033 -0.8225 -0.7655 0.00 0.19 -0.12
P -1.4533 -3.3166 -1.9416 0.62 1.20 0.20
C 3.4523 2.8284 -0.9225 0.23 -0.09 -0.03
C 4.9802 2.7796 -0.8135 0.37 0.49 0.16
H 3.0412 3.3027 -0.0105 0.08 -0.05 -0.12
H 3.1856 3.4684 -1.7844 0.07 0.09 0.05
H 5.3646 3.7644 -0.5262 -0.05 -0.08 -0.22
H 5.3144 2.0934 -0.0359 -0.18 0.36 -0.38
H 5.4683 2.4919 -1.7522 -0.23 0.06 0.18
C 3.4467 0.4561 -2.6007 -0.26 0.30 -0.54
C 4.1265 -0.9068 -2.5069 0.34 -0.63 -0.07
H 4.1747 1.1923 -2.9684 -0.27 -0.07 0.05
H 2.6578 0.3773 -3.3633 0.18 0.10 0.14
H 4.1399 -1.4016 -3.4888 -0.18 0.25 0.21
H 5.1789 -0.8483 -2.2082 -0.27 0.10 -0.06
H 3.6050 -1.5783 -1.8187 0.23 0.10 -0.17
C 3.0788 0.2898 0.3922 -0.59 0.09 0.03
C 4.5382 -0.0871 0.5167 0.69 -0.18 0.31
H 2.4635 -0.6241 0.4189 0.12 0.46 0.00
H 2.7802 0.9156 1.2494 -0.11 -0.14 -0.22
H 4.6851 -0.8860 1.2491 -0.18 -0.02 -0.14
H 4.9314 -0.4209 -0.4370 0.14 -0.02 0.33
H 5.1625 0.7348 0.8614 -0.15 -0.27 0.13
C -1.4046 -3.2870 -0.1162 0.36 0.30 0.08
C -1.2871 -4.6818 0.4571 -0.21 -0.36 0.53
*/

